What to do:
Give back everything further below exactly.

Data:
+++
[1]
Here is a structure of composition C41H27FeN6S2 from OMol25. Energies are from wB97M-V/def2-TZVPD.

Geometry as XYZ:
```
77
Properties=species:S:1:pos:R:3:forces:R:3
Fe 0.1974 0.2911 0.0130 0.1 0.1 0.0
S 1.0397 5.8720 -1.4899 0.0 0.0 0.0
C 1.5728 7.4851 -1.6377 0.0 0.0 0.0
C 2.5736 7.7706 -0.7615 0.0 0.0 0.0
C 2.9161 6.6601 0.0474 0.0 0.0 0.0
C 2.1700 5.5459 -0.2264 0.0 0.0 0.0
C 2.2527 4.2331 0.4114 0.0 0.0 0.0
C 1.4092 3.1880 -0.0063 0.0 0.0 0.0
N 1.4176 1.9743 0.5247 0.0 -0.1 0.0
C 2.3006 1.7147 1.5227 0.0 0.0 0.0
C 3.1837 2.6763 2.0124 0.0 0.0 0.0
C 4.0859 2.3093 3.0736 0.0 0.0 0.0
C 4.0897 1.0614 3.5887 0.0 0.0 0.0
C 3.1896 0.0539 3.0922 0.0 0.0 0.0
C 3.1357 -1.2618 3.5719 0.0 0.0 0.0
C 2.2400 -2.1778 3.0414 0.0 0.0 0.0
C 1.4000 -1.7210 2.0068 0.0 0.0 0.0
N 1.4366 -0.4850 1.5435 0.0 0.0 0.0
C 2.3098 0.3980 2.0683 0.0 0.0 0.0
C 2.1503 -3.5565 3.5146 0.0 0.0 0.0
C 2.9165 -4.1651 4.4730 0.0 0.0 0.0
C 2.5604 -5.5169 4.6909 0.0 0.0 0.0
C 1.5297 -5.9153 3.8958 0.0 0.0 0.0
S 0.9835 -4.6592 2.8828 0.0 0.0 0.0
C 3.1412 3.9520 1.4355 0.0 0.0 0.0
H 1.1191 8.1379 -2.3656 0.0 0.0 0.0
H 3.0497 8.7369 -0.6951 0.0 0.0 0.0
H 3.6903 6.7004 0.7999 0.0 0.0 0.0
H 0.7038 3.3562 -0.8080 0.0 0.0 0.0
H 4.7671 3.0604 3.4512 0.0 0.0 0.0
H 4.7736 0.7983 4.3850 0.0 0.0 0.0
H 3.8059 -1.5547 4.3697 0.0 0.0 0.0
H 0.6778 -2.3826 1.5423 0.0 0.0 0.0
H 3.7154 -3.6756 5.0111 0.0 0.0 0.0
H 3.0477 -6.1640 5.4039 0.0 0.0 0.0
H 1.0593 -6.8843 3.8525 0.0 0.0 0.0
H 3.8158 4.7156 1.8008 0.0 0.0 0.0
N -6.8250 -5.5399 -4.2483 0.0 0.0 0.0
C -6.0063 -4.9223 -3.7327 0.0 0.0 0.0
C -4.9812 -4.1461 -3.0881 0.0 0.0 0.0
C -3.7918 -4.7571 -2.6974 0.0 0.0 0.0
C -2.8023 -4.0058 -2.0896 0.0 0.0 0.0
C -3.0018 -2.6467 -1.8497 0.0 0.0 0.0
C -4.2012 -2.0455 -2.2284 0.0 0.0 0.0
C -5.1848 -2.7880 -2.8565 0.0 0.0 0.0
C -1.9506 -1.8405 -1.1834 0.0 0.0 0.0
C -2.2967 -1.2288 0.0295 0.0 0.0 0.0
C -3.4638 -1.4481 0.7916 0.0 0.0 0.0
C -3.3412 -0.7292 1.9702 0.0 0.0 0.0
C -2.1058 -0.0872 1.9124 0.0 0.0 0.0
N -1.4655 -0.3701 0.7637 0.0 0.0 0.0
C -0.6893 -1.7805 -1.8072 0.0 0.0 0.0
C -0.3041 -2.3662 -3.0270 0.0 0.0 0.0
C 1.0486 -2.1053 -3.2145 0.0 0.0 0.0
C 1.4622 -1.3638 -2.1134 0.0 0.0 0.0
N 0.4364 -1.1478 -1.2627 0.0 0.0 0.0
H -3.6500 -5.8147 -2.8710 0.0 0.0 0.0
H -1.8812 -4.4806 -1.7772 0.0 0.0 0.0
H -4.3570 -0.9898 -2.0456 0.0 0.0 0.0
H -6.1108 -2.3241 -3.1666 0.0 0.0 0.0
H -4.2788 -2.0952 0.5115 0.0 0.0 0.0
H -4.0436 -0.6838 2.7854 0.0 0.0 0.0
H -1.6563 0.5577 2.6546 0.0 0.0 0.0
H -0.9514 -2.9182 -3.6884 0.0 0.0 0.0
H 1.6674 -2.4222 -4.0372 0.0 0.0 0.0
H 2.4484 -0.9746 -1.9026 0.0 0.0 0.0
C -2.2531 3.1180 -3.1745 0.0 0.0 0.0
C -2.5805 3.1122 -1.8256 0.0 0.0 0.0
C -1.8491 2.3150 -0.9699 0.0 0.0 0.0
N -0.8285 1.5520 -1.3935 -0.1 0.0 0.0
C -0.5222 1.5508 -2.6993 0.0 0.0 0.0
C -1.2084 2.3220 -3.6175 0.0 0.0 0.0
H -2.8086 3.7321 -3.8708 0.0 0.0 0.0
H -3.3913 3.7126 -1.4385 0.0 0.0 0.0
H -2.0782 2.2765 0.0883 0.0 0.0 0.0
H 0.2946 0.9098 -3.0074 0.0 0.0 0.0
H -0.9245 2.2916 -4.6596 0.0 0.0 0.0
```
Positions in Å, forces in eV/Å.

Output
Energy relative to the best compared isomer or geometry (same formula, charge and spin) = 0.0 kcal/mol
Spin multiplicity = 6
Total charge = +2
E = -3966.776007 Ha
Max |F| = 0.11 eV/Å
⟨S²⟩ = 8.76

=====

[2]
Here is a structure of composition C41H28ClMgN9O4S2 from OMol25. Energies are from wB97M-V/def2-TZVPD.

Geometry as XYZ:
```
86
Properties=species:S:1:pos:R:3:forces:R:3
Mg 0.9589 -0.9010 -0.2113 0.1 -0.5 -0.4
C 4.9451 0.7520 -0.7458 0.1 0.0 0.0
C 4.9228 1.6949 0.2782 0.0 0.0 -0.1
C 4.0525 1.5171 1.3248 0.0 0.1 0.1
C 3.1957 0.4081 1.3417 -0.1 -0.3 0.1
N 3.1379 -0.4451 0.2945 0.1 0.2 0.2
C 4.0311 -0.2719 -0.6979 -0.2 0.0 0.1
N 2.5079 0.1899 2.5335 0.2 0.1 -0.2
C 1.5286 -0.6256 2.6819 -0.1 -0.1 -0.2
N 0.7948 -1.3010 1.7248 0.0 -0.2 0.7
C -0.1946 -2.0046 2.3548 0.2 0.1 -0.1
N -1.1343 -2.7340 1.8534 -0.1 0.0 -0.2
C -1.3930 -2.8682 0.4982 0.2 0.1 0.0
C -2.4627 -3.7303 0.1924 -0.1 0.0 0.1
C -2.8609 -3.9167 -1.1055 0.0 0.0 0.0
+++

Done:
[1]
Here is a structure of composition C41H27FeN6S2 from OMol25. Energies are from wB97M-V/def2-TZVPD.

Geometry as XYZ:
```
77
Properties=species:S:1:pos:R:3:forces:R:3
Fe 0.1974 0.2911 0.0130 0.1 0.1 0.0
S 1.0397 5.8720 -1.4899 0.0 0.0 0.0
C 1.5728 7.4851 -1.6377 0.0 0.0 0.0
C 2.5736 7.7706 -0.7615 0.0 0.0 0.0
C 2.9161 6.6601 0.0474 0.0 0.0 0.0
C 2.1700 5.5459 -0.2264 0.0 0.0 0.0
C 2.2527 4.2331 0.4114 0.0 0.0 0.0
C 1.4092 3.1880 -0.0063 0.0 0.0 0.0
N 1.4176 1.9743 0.5247 0.0 -0.1 0.0
C 2.3006 1.7147 1.5227 0.0 0.0 0.0
C 3.1837 2.6763 2.0124 0.0 0.0 0.0
C 4.0859 2.3093 3.0736 0.0 0.0 0.0
C 4.0897 1.0614 3.5887 0.0 0.0 0.0
C 3.1896 0.0539 3.0922 0.0 0.0 0.0
C 3.1357 -1.2618 3.5719 0.0 0.0 0.0
C 2.2400 -2.1778 3.0414 0.0 0.0 0.0
C 1.4000 -1.7210 2.0068 0.0 0.0 0.0
N 1.4366 -0.4850 1.5435 0.0 0.0 0.0
C 2.3098 0.3980 2.0683 0.0 0.0 0.0
C 2.1503 -3.5565 3.5146 0.0 0.0 0.0
C 2.9165 -4.1651 4.4730 0.0 0.0 0.0
C 2.5604 -5.5169 4.6909 0.0 0.0 0.0
C 1.5297 -5.9153 3.8958 0.0 0.0 0.0
S 0.9835 -4.6592 2.8828 0.0 0.0 0.0
C 3.1412 3.9520 1.4355 0.0 0.0 0.0
H 1.1191 8.1379 -2.3656 0.0 0.0 0.0
H 3.0497 8.7369 -0.6951 0.0 0.0 0.0
H 3.6903 6.7004 0.7999 0.0 0.0 0.0
H 0.7038 3.3562 -0.8080 0.0 0.0 0.0
H 4.7671 3.0604 3.4512 0.0 0.0 0.0
H 4.7736 0.7983 4.3850 0.0 0.0 0.0
H 3.8059 -1.5547 4.3697 0.0 0.0 0.0
H 0.6778 -2.3826 1.5423 0.0 0.0 0.0
H 3.7154 -3.6756 5.0111 0.0 0.0 0.0
H 3.0477 -6.1640 5.4039 0.0 0.0 0.0
H 1.0593 -6.8843 3.8525 0.0 0.0 0.0
H 3.8158 4.7156 1.8008 0.0 0.0 0.0
N -6.8250 -5.5399 -4.2483 0.0 0.0 0.0
C -6.0063 -4.9223 -3.7327 0.0 0.0 0.0
C -4.9812 -4.1461 -3.0881 0.0 0.0 0.0
C -3.7918 -4.7571 -2.6974 0.0 0.0 0.0
C -2.8023 -4.0058 -2.0896 0.0 0.0 0.0
C -3.0018 -2.6467 -1.8497 0.0 0.0 0.0
C -4.2012 -2.0455 -2.2284 0.0 0.0 0.0
C -5.1848 -2.7880 -2.8565 0.0 0.0 0.0
C -1.9506 -1.8405 -1.1834 0.0 0.0 0.0
C -2.2967 -1.2288 0.0295 0.0 0.0 0.0
C -3.4638 -1.4481 0.7916 0.0 0.0 0.0
C -3.3412 -0.7292 1.9702 0.0 0.0 0.0
C -2.1058 -0.0872 1.9124 0.0 0.0 0.0
N -1.4655 -0.3701 0.7637 0.0 0.0 0.0
C -0.6893 -1.7805 -1.8072 0.0 0.0 0.0
C -0.3041 -2.3662 -3.0270 0.0 0.0 0.0
C 1.0486 -2.1053 -3.2145 0.0 0.0 0.0
C 1.4622 -1.3638 -2.1134 0.0 0.0 0.0
N 0.4364 -1.1478 -1.2627 0.0 0.0 0.0
H -3.6500 -5.8147 -2.8710 0.0 0.0 0.0
H -1.8812 -4.4806 -1.7772 0.0 0.0 0.0
H -4.3570 -0.9898 -2.0456 0.0 0.0 0.0
H -6.1108 -2.3241 -3.1666 0.0 0.0 0.0
H -4.2788 -2.0952 0.5115 0.0 0.0 0.0
H -4.0436 -0.6838 2.7854 0.0 0.0 0.0
H -1.6563 0.5577 2.6546 0.0 0.0 0.0
H -0.9514 -2.9182 -3.6884 0.0 0.0 0.0
H 1.6674 -2.4222 -4.0372 0.0 0.0 0.0
H 2.4484 -0.9746 -1.9026 0.0 0.0 0.0
C -2.2531 3.1180 -3.1745 0.0 0.0 0.0
C -2.5805 3.1122 -1.8256 0.0 0.0 0.0
C -1.8491 2.3150 -0.9699 0.0 0.0 0.0
N -0.8285 1.5520 -1.3935 -0.1 0.0 0.0
C -0.5222 1.5508 -2.6993 0.0 0.0 0.0
C -1.2084 2.3220 -3.6175 0.0 0.0 0.0
H -2.8086 3.7321 -3.8708 0.0 0.0 0.0
H -3.3913 3.7126 -1.4385 0.0 0.0 0.0
H -2.0782 2.2765 0.0883 0.0 0.0 0.0
H 0.2946 0.9098 -3.0074 0.0 0.0 0.0
H -0.9245 2.2916 -4.6596 0.0 0.0 0.0
```
Positions in Å, forces in eV/Å.

Output
Energy relative to the best compared isomer or geometry (same formula, charge and spin) = 0.0 kcal/mol
Spin multiplicity = 6
Total charge = +2
E = -3966.776007 Ha
Max |F| = 0.11 eV/Å
⟨S²⟩ = 8.76

=====

[2]
Here is a structure of composition C41H28ClMgN9O4S2 from OMol25. Energies are from wB97M-V/def2-TZVPD.

Geometry as XYZ:
```
86
Properties=species:S:1:pos:R:3:forces:R:3
Mg 0.9589 -0.9010 -0.2113 0.1 -0.5 -0.4
C 4.9451 0.7520 -0.7458 0.1 0.0 0.0
C 4.9228 1.6949 0.2782 0.0 0.0 -0.1
C 4.0525 1.5171 1.3248 0.0 0.1 0.1
C 3.1957 0.4081 1.3417 -0.1 -0.3 0.1
N 3.1379 -0.4451 0.2945 0.1 0.2 0.2
C 4.0311 -0.2719 -0.6979 -0.2 0.0 0.1
N 2.5079 0.1899 2.5335 0.2 0.1 -0.2
C 1.5286 -0.6256 2.6819 -0.1 -0.1 -0.2
N 0.7948 -1.3010 1.7248 0.0 -0.2 0.7
C -0.1946 -2.0046 2.3548 0.2 0.1 -0.1
N -1.1343 -2.7340 1.8534 -0.1 0.0 -0.2
C -1.3930 -2.8682 0.4982 0.2 0.1 0.0
C -2.4627 -3.7303 0.1924 -0.1 0.0 0.1
C -2.8609 -3.9167 -1.1055 0.0 0.0 0.0